Reinventing Advertising: Broadcast vs. the New Platforms: VOD, PVR, Broadband & Mobile

The Challenge of Consumer/Advertising Misalignment: How to Finance Free Content

Digital Hollywood Chicago 2007At Digital Hollywood Chicago, few disputed that broadcast TV and mass advertising’s golden age had passed and that several technologies and cultural shifts were pressuring senior marketers to change. To fully appreciate this challenge, one has to consider the three screens through which most consumers experience “content. ” What consumers do with the changing capabilities of each screen changes their expectations and behaviors about their experience with all three screens, dramatically increasing opportunities and threats. Interactivity is increasingly available for TV (video). Convergence among the three screens is another important thread. Younger generations of consumers have little tolerance for the concept of mass advertising.

The most rapacious symptom of the weakness of the mass broadcast advertising model is the widespread adoption of the PVR (personal video recorder), which enables (home) viewers to record TV programs—and to skip advertisements. A couple of eye-opening facts: 1) on average, TV programming contains 8.5 minutes of advertisements during each 30 minute segment of programming and 2) 70% of adverts are fast-forwarded through or eliminated. And these numbers pertain to (mostly) non-digital (analog) […]

User-Generated Media, Social Networks and Traditional Media

Now Everyone Is a Producer—How Will User-Generated Content Affect Traditional Media?

Digital Hollywood Chicago 2007User-generated media (UGM) represents a poignant dichotomy within the context of Digital Hollywood Chicago: panelists and speakers represented a full spectrum of players that provide the capability for people to communicate, work and entertain themselves, but they have in common that they represent business interests. These players are in the business of commercializing communication. Consumers (aka “users,” “people”) represent personal interests: they communicate because they want to; they have little commercial interest in most of their communication.

Panelists grappled with this reality but did not address it directly. They explored business models for UGM—and mostly came up empty. The problem that UGM poses to providers is two-fold: UGM costs providers money in terms of bandwidth and other resources. It also carries a considerable opportunity cost, which is hard to measure but palpable: it crowds out commercial content by occupying customers in two ways: creating UGM and experiencing others’ UGM.

UGM is also difficult to compete against because its producers play by much different rules: they usually produce for free, while commercial producers have high costs. UGM producers […]

Reading between the Lines: Apple's New Business Strategy

Reading between the Lines: Apple’s New Business Strategy reveals why Apple could emerge as a three-screen player par excellence.

Reading between the Lines: Apple's New Business StrategyApple’s name change in early 2007 was heralded as the company’s redefinition as a consumer products company. The conventional wisdom held that the lion’s share of the run-up of Apple’s stock price had been due to the excitement of the iPod and the successful rekindling interest in the company’s Macintosh computers. Moreover, Apple’s stock had limited headroom because consumer electronics heavies were getting into the market for music players, and this would leech profits. The iPhone looked great, but it was overpriced in a hyper-competitive market; it wouldn’t penetrate much beyond a few gadget freaks.

This prevailing view works great for Apple because it keeps people focused on the wrong things—literally. Apple’s business strategy is far more profound. It goes far beyond the SIC, hardware or even software. It is an experience strategy based on content and communications.


Rebooting Kraft—CEO Outlines Growth Strategy at Executives' Club Breakfast

Rebooting Kraft—CEO Outlines Growth Strategy clearly shows the innovation imperative: A Play in Two Acts, Starring the Consumer.

Rebooting Kraft—CEO Outlines Growth Strategy: Irene B. RosenfeldIrene B. Rosenfeld, Chairman & Chief Executive Officer of Kraft Foods, outlined her vision for relaunching Kraft at the Executives’ Club of Chicago’s Chicago CEO Breakfast on May 30, 2007 at the Mid-America Club. She was enthusiastic about the company’s second lease on life: having spun off of Altria this spring, the company is newly independent, and she was eager to share her plan to drive growth by addressing the “eye of the consumer.”

Kraft Foods is the second largest food company in the world and the largest in North America. It has seven brands that produce revenue of over $1 billion and fifty that bring in over $100 million each. Central to her strategy is leveraging Kraft’s formidable brand portfolio and other economies of scale. Rosenfeld “came home to Kraft” about a year ago, having had highly visible leadership roles at the company in the past and the top job at Frito-Lay immediately prior.


StaySmall Wins Web 0.2 Citation for Delivering

Payment Processor Wins Web 0.2 Citation for Delivering "Yechsperience" [customer experience satire]Achieves Payor of Last Resort Status

Chicago, 13 March 2007—Today, the Global Human Capital Journal awarded StaySmall, the global payment intermediary, the odious Web 0.2 Citation for inducing a poignant bout of customer yechsperience™.

As readers know, the GHCJ exercises stringent criteria before conferring the Web 0.2 Citation: to earn it, companies must induce prolonged feelings of frustration, confusion and anguish in customers more effectively than their competitors.

Tonight, StaySmall delivered in spades, as reported by the judges. Here is a summarized account of the findings…


Web 2.0 Means Marketing 2.0

Web 2.0 Is Transforming Relationships Between Customers and Companies*

P2P_worldI’ll risk using a hype-laden term like “Web 2.0” in the title: I think most of us have been around long enough to understand that hype doesn’t mean that nothing is there, although it can distract us from seeing things that we should be watching.

I have been in the thick of the “adoption curves” of Java, e-business transformation and SOA/Web services (detail). They have been instrumental in creating a new information infrastructure and business process capabilities. “Web 2.0” will prove to be the most transformational so far because it is changing relationships. It changes individuals’ relationships with each other, and it will change how companies and the customers relate to each other. It will demand “Marketing 2.0.”

Tectonic Shift

/*
Calculated XRD peak list
Compound: Li3Mg8Ga
Radiation: Cu Kα
Structure: DFT lattice parameters and positions (PBE)
Intensities are scaled so that the largest is 100.

Most intense lines, 10 to 90 degrees two-theta, by angle:
index  2theta  I/Imax
0 0 1  13.7  62
1 0 -1  18.0  32
0 1 1  20.3  24
2 -2 0  36.4  53
1 0 2  36.5  100
1 2 0  36.7  49
0 2 -2  37.5  48
-1 2 2  37.6  47
3 0 0  51.0  18
0 2 4  67.2  16

Atomic structure:
Cell lengths 5.888, 6.769, 6.783 Å; angles 90.25, 106.68, 107.02 degrees
Space group P1 (No. 1)
One atom of each set of equivalent atoms:
Li1 0.000 0.000 0.000 x1
Li2 0.000 0.000 0.500 x1
Li3 0.000 0.499 0.500 x1
Mg1 0.311 0.330 0.830 x1
Mg2 0.312 0.826 0.327 x1
Mg3 0.315 0.825 0.830 x1
Mg4 0.316 0.330 0.326 x1
Mg5 0.684 0.173 0.170 x1
Mg6 0.684 0.670 0.674 x1
Mg7 0.686 0.171 0.673 x1
Mg8 0.689 0.669 0.170 x1
Ga1 0.999 0.499 0.000 x1


(1)
This entry pairs a crystal structure of Pm5Tm4Sc4 with its computed powder diffractogram. Radiation: Cu Kα X-rays. Structure: the PBE geometry in Alexandria.
Kinematic intensities with the Lorentz-polarization factor, no thermal factor.

The 8 most intense peaks (10 to 80 degrees two-theta), by angle:
d [Å]	Rel. int.
6.276	9.6
3.969	6.2
3.700	7.3
2.842	100.0
2.461	50.9
1.740	35.6
1.484	41.5
1.421	11.8

Crystal structure
```
Pm5Tm4Sc4
1.0
-6.2761 6.2761 2.4595
6.2761 -6.2761 2.4595
6.2761 6.2761 -2.4595
Pm Tm Sc
5 4 4
Direct
0.0000 0.0000 0.0000
0.3052 0.4572 0.7624
0.4572 0.6948 0.1520
0.5428 0.3052 0.8480
0.6948 0.5428 0.2376
0.0778 0.6160 0.6938
0.3840 0.0778 0.4618
0.6160 0.9222 0.5382
0.9222 0.3840 0.3062
0.1558 0.2340 0.3897
0.2340 0.8442 0.0782
0.7660 0.1558 0.9218
0.8442 0.7660 0.6103
```



(2)
This entry pairs a crystal structure of PmTm4Sc with its computed powder diffractogram. Radiation: Cu Kα X-rays. Structure: the PBE geometry in Alexandria.
Kinematic intensities with the Lorentz-polarization factor, no thermal factor.

The 8 most intense peaks (10 to 80 degrees two-theta), by angle:
d [Å]	Rel. int.
4.824	25.3
3.196	44.0
2.911	40.3
2.846	61.8
2.800	100.0
2.496	53.5
2.489	51.1
1.447	27.2

Crystal structure
```
PmTm4Sc
1.0
3.3873 0.0000 0.0000
0.0000 5.6917 0.0000
-0.0353 0.0000 9.6477
Pm Tm Sc
1 4 1
Direct
0.0000 0.0000 0.0000
0.0018 0.5000 0.8014
0.4976 0.0000 0.6800
0.5024 0.0000 0.3200
0.9982 0.5000 0.1986
0.5000 0.5000 0.5000
```



(3)
This entry pairs a crystal structure of Pm3Tm5Sc2 with its computed powder diffractogram. Radiation: Cu Kα X-rays. Structure: the PBE geometry in Alexandria.
Kinematic intensities with the Lorentz-polarization factor, no thermal factor.

The 8 most intense peaks (10 to 80 degrees two-theta), by angle:
d [Å]	Rel. int.
3.691	22.9
2.917	100.0
2.825	75.4
2.630	40.9
2.499	17.1
1.805	16.3
1.568	15.7
1.553	14.2

Crystal structure
```
Pm3Tm5Sc2
1.0
9.0577 0.0000 0.0000
-2.9607 8.5727 0.0000
-3.0425 -4.2893 7.9691
Pm Tm Sc
6 10 4
Direct
0.0135 0.2639 0.0272
0.2233 0.7697 0.7466
0.4762 0.5225 0.2529
0.5238 0.4775 0.7471
0.7767 0.2303 0.2534
*/

As I argued in The 3.x Economies, we are transitioning away from the Industrial Economy and entering the Knowledge Economy. In the Industrial Economy, companies created value by manufacturing products efficiently based on their core competencies, and they marketed products to customers. They also created and marketed services on a large scale. “Marketing” grew as a profession during the 20th century when […]

Book Review/Word of Mouth Marketing: How Smart Companies Get People Talking

Immensely Valuable Field Guide for Word of Mouth Practitioners—with a Twist

word_of_mouthWord of Mouth Marketing is an exceptionally useful, insightful and surprising book. Andy Sernovitz has done a masterful job at creating a brief, lucid and tactical guide to realigning your company’s relationships with your customers, quickly and inexpensively. It is very straightforward, honest and full of practical techniques. Moreover, it is very human because it addresses customers as human beings, not demographics. I suspect that this aspect of the book might peeve those marketers that are invested in the difficulty and complexity of their craft. Think about it: when customers were (relatively) mute and invisible, marketers were the intermediary between the enterprise and the customer; in the absence of the customer’s voice, they created models and theories to simulate it. WOM, powered by Web 2.0, means that customers can talk in their own words, and companies can listen. The customer’s back!

However, this direct customer connection also means that marketing will be much more fun and less frustrating for companies that understand the shift and engage their customers. This direct, fun and productive new reality emanates from the book’s every […]

Charting a New Course: Communicating in a Digital Age

Media Reflects Power Shift away from Producers to Consumers—Glimpses of Consumer Empowerment

comms_bfast_eecThe Executives’ Club of Chicago assembled a visionary panel to give Midwest business leaders their advice for media communications in the (“new” ,^) digital age. Rishad Tobaccowala, CEO, Denuo Group and Chief Innovation Officer, Publicis; Dr. Jim Taylor, Vice Chairman, The Harrison Group and Emily L. Barr, President & General Manager, ABC 7 Chicago were panelists, and Susan D. Whiting, Chairman, Nielsen Media Research moderated the breakfast, which took place 30 January 2007 at Chicago’s Mid-America Club.

Ours is rapidly becoming a P2P world in which individuals communicate with individuals digitally, and this represents a profound shift for media companies, their clients and everyone’s customers. The focus of the morning discussion was “media”—television, print, radio—which are still largely organized to deliver one message to an audience of many. Of course, the “mass” has always been comprised of individuals, but their alternatives to mass media have been few until fairly recently. Now they are tuning out mass messaging in favor of more relevant communications, which increasingly come from—other individuals. Meantime, people are increasingly connected via the Internet (whether through mobile […]

Book Review/Outside Innovation: How Your Customers Will Co-design Your Company's Future

An Excellent Primer for the Core Competency of the 21st Century

outside_innov_coverTo thrive in the Knowledge Economy, companies will have to learn how to innovate at warp speed, or they will simply slip beneath the surface of the water like stricken liners. Ultra low costs and exceptional quality feature sets are merely expected, and they no longer differentiate.

Conventional wisdom holds that “innovation” cycles reappear every five years, when companies have exhausted the then-current cost-cutting approaches and need to focus on driving the top line.

However, the Knowledge Economy doesn’t call for your father’s innovation. The 21st century kind will require that companies turn themselves inside-out. Winners will learn to engage and catalyze their customers’ creativity. As author Patty Seybold aptly puts it, “Companies with the smartest customers win.” Outside Innovation is an in-the-trenches manual for evolving your company to embrace the innovation imperative.


Book Review/The Long Tail

A Must-read Guide to the Importance of Web 2.0 and the Knowledge Economy

longtail-cover-smThe Long Tail is a watershed book that reflects many of the profound socioeconomic changes wrought by the transition from the Industrial Economy to the Knowledge Economy. The “Long Tail” represents the splintering of the mass market—what is happening, why and how you can thrive in the new era of the niche. Moreover, it shows how the mass market was a temporary phenomenon that developed because niches were not economically viable for producers to address.

Chris Anderson is editor-in-chief of Wired, and the book has an appreciation for culture, the economics of technology and the importance of innovation. It’s also very well written: Anderson tackles some fairly abstract concepts, but the reader doesn’t trip over them. It’s possible to read the book quickly, but there is plenty of substance for a detailed, reflective reading as well. Difficult to over-recommend!

The Long Tail offers an insightful look into the byte-oriented Knowledge Economy and its movement away from the zero-sum, bits-oriented Industrial Economy—and what this holds for business and culture. The book […]